**Excerpt**
# MnNiHgF6, relaxed, DFT GGA+U
# Total energy = -4.479 eV per atom
# Crystal system = trigonal
# ρ = 5.608 g cm⁻³
# Magnetization = 14.000 μB/cell
data_MnNiHgF6
_cell_length_a 5.4780
_cell_length_b 5.4780
_cell_length_c 9.7570
_cell_angle_alpha 90.00
_cell_angle_beta 90.00
_cell_angle_gamma 120.00
_space_group_name_H-M_alt 'P -3 1 c'
_space_group_IT_number 163
_space_group_name_Hall '-P 3 2c'
loop_
_atom_site_label
_atom_site_type_symbol
_atom_site_fract_x
_atom_site_fract_y

**To do**
Please print the part of the listing above that starts with the line with "cm⁻³" and stops after the one with "_cell_angle_alpha 90.00".

**Reply**
# ρ = 5.608 g cm⁻³
# Magnetization = 14.000 μB/cell
data_MnNiHgF6
_cell_length_a 5.4780
_cell_length_b 5.4780
_cell_length_c 9.7570
_cell_angle_alpha 90.00